• Exercise:
It remains to find the line below that holds "-1.055266 -0.316", then set down that line and all lines after it there.

• Listing:
Record 1
C5H4 | wB97M-V/def2-TZVPD

```
9
Properties=species:S:1:pos:R:3:forces:R:3:lowdin_charge:R:1
C 0.423933 0.038401 0.356589 0.649 0.878 2.560 -0.360
C 0.067405 1.091320 -0.861893 -0.584 -2.002 3.065 -0.059
C 0.911031 0.090497 -1.055266 -0.316 0.185 -0.087 0.017
C 0.417472 -0.494948 1.635982 -2.542 0.028 1.647 -0.018
C -0.772324 1.422600 0.298898 1.266 -2.060 -3.454 0.001
H 1.013162 -1.349622 2.173098 -0.822 1.695 -2.078 0.071
H -0.597067 -0.216805 2.503402 3.402 -0.443 -3.040 0.144
H -1.518625 0.610003 0.498626 -0.470 2.067 -0.056 0.108
H -0.602492 2.475236 0.498932 -0.583 -0.348 1.442 0.096
```
Positions in Å, forces in eV/Å.

Computed properties:
Multiplicity: 1
Total energy, eV: -5240.894
HOMO, eV: -9.267
ΔE to the lowest compared entry with this formula, charge and spin, eV: 5.301


Record 2
C4H9As2Cl6F12OY | wB97M-V/def2-TZVPD

```
35
Properties=species:S:1:pos:R:3:forces:R:3:lowdin_charge:R:1
Y -2.354570 -1.296960 -1.673134 4.344 2.101 2.104 1.946
C 0.860013 -0.731289 -1.010875 0.796 -0.808 0.355 -0.217
O -0.262504 -0.634734 -1.848596 -3.733 -1.423 -0.212 -0.442
H 0.941876 0.077763 -0.281397 -0.187 0.196 -0.218 0.077
H 0.881503 -1.669509 -0.438387 -0.327 0.078 0.049 0.057
H 1.781346 -0.791178 -1.602009 -0.122 0.386 -0.139 0.074
As -2.249525 -2.895341 1.955718 -1.635 -0.389 3.060 0.708
F -1.745732 -4.366356 1.259751 0.335 0.007 -0.654 -0.224
F -3.886139 -3.147599 1.406619 0.325 -0.303 -1.142 -0.260
F -2.859328 -1.381005 2.468667 0.390 0.540 -0.205 -0.217
F -0.709050 -2.462152 2.530811 0.381 0.011 -0.635 -0.233
F -1.839560 -2.108431 0.334208 -0.230 0.598 -2.054 -0.370
F -2.623492 -3.673663 3.422423 -0.018 -0.116 0.223 -0.208
As -3.249399 2.333044 -0.250969 -1.276 1.558 1.225 0.730
F -2.678891 0.665248 -0.926807 -0.070 -1.468 -0.979 -0.400
F -3.322754 2.927781 -1.854378 0.410 -0.395 -0.357 -0.219
F -3.837604 3.785020 0.393770 0.225 0.311 0.038 -0.194
F -3.172908 1.581915 1.270719 0.108 -0.414 0.194 -0.202
F -1.587130 2.702575 -0.131410 0.200 0.033 -0.339 -0.215
F -4.849910 1.714069 -0.456933 0.137 -0.438 -0.268 -0.239
C 1.873636 3.183725 0.933684 -0.015 -0.465 -0.046 -1.046
Cl 2.733864 2.022359 1.978083 -0.002 0.042 -0.143 0.479
Cl 0.957872 4.340709 1.879818 0.015 0.200 -0.023 0.535
H 2.606580 3.671262 0.302754 0.010 0.179 0.135 0.014
H 1.178402 2.615923 0.325192 -0.052 0.021 0.029 -0.007
C 2.122934 1.958042 -3.598144 0.043 0.209 0.753 -1.028
Cl 3.513163 2.031497 -2.486053 0.042 -0.099 -0.034 0.497
Cl 2.615668 1.779970 -5.272403 -0.123 -0.033 -0.005 0.528
H 1.507070 1.129716 -3.265990 0.015 -0.142 -0.279 -0.002
H 1.591138 2.888303 -3.436681 -0.057 0.044 -0.362 0.027
C 3.251457 -3.122373 1.647655 -1.011 0.506 -0.255 -1.036
Cl 1.757666 -4.096117 1.641155 0.218 -0.039 -0.077 0.516
Cl 4.678118 -4.079948 1.329453 0.173 0.052 0.210 0.531
H 3.132030 -2.375541 0.869068 0.166 -0.157 -0.191 0.007
H 3.244150 -2.576733 2.584617 0.526 -0.383 0.243 0.034
```
Positions in Å, forces in eV/Å.

Computed properties:
Multiplicity: 1
Total energy, eV: -236812.744
HOMO, eV: -10.835
ΔE to the lowest compared entry with this formula, charge and spin, eV: 0.000

* * * * *

The following is a quantum chemistry calculation of a structure of composition C13H26MoO2S4SbSe6, from OMol25.

Energy relative to the best compared isomer or geometry (same formula, charge and spin) in kJ/mol: 121.2
Total charge: -1
Orbital gap (spin up / spin down) in eV: 6.0 / 5.3
Multiplicity: 3

Each line ends with the Mulliken spin population.
Positions of all 53 atoms, in Å:
Mo: 1.692 0.617 1.877  1.5331
S: -0.892 -1.080 -2.685  0.0004
C: 3.047 0.896 -1.395  0.0587
H: 4.803 2.037 -2.956  0.0001
C: -3.142 0.797 -0.511  0.0017
Se: 0.208 2.281 1.801  -0.2669
S: -2.221 -0.193 0.695  -0.0015
C: -2.444 2.101 -0.882  -0.0076
H: 3.181 3.062 0.281  0.0035
H: -3.018 -2.154 -2.490  0.0000
C: 4.078 2.452 0.367  0.0428
C: 4.305 1.614 -0.894  -0.0381
Se: 0.914 -1.627 2.626  0.1511
H: 3.300 0.332 -2.295  0.0077
H: -2.331 -4.375 -1.806  0.0002
O: 5.247 -0.648 -0.346  -0.0004

• Result:
C 0.911031 0.090497 -1.055266 -0.316 0.185 -0.087 0.017
C 0.417472 -0.494948 1.635982 -2.542 0.028 1.647 -0.018
C -0.772324 1.422600 0.298898 1.266 -2.060 -3.454 0.001
H 1.013162 -1.349622 2.173098 -0.822 1.695 -2.078 0.071
H -0.597067 -0.216805 2.503402 3.402 -0.443 -3.040 0.144
H -1.518625 0.610003 0.498626 -0.470 2.067 -0.056 0.108
H -0.602492 2.475236 0.498932 -0.583 -0.348 1.442 0.096
```
Positions in Å, forces in eV/Å.

Computed properties:
Multiplicity: 1
Total energy, eV: -5240.894
HOMO, eV: -9.267
ΔE to the lowest compared entry with this formula, charge and spin, eV: 5.301


Record 2
C4H9As2Cl6F12OY | wB97M-V/def2-TZVPD

```
35
Properties=species:S:1:pos:R:3:forces:R:3:lowdin_charge:R:1
Y -2.354570 -1.296960 -1.673134 4.344 2.101 2.104 1.946
C 0.860013 -0.731289 -1.010875 0.796 -0.808 0.355 -0.217
O -0.262504 -0.634734 -1.848596 -3.733 -1.423 -0.212 -0.442
H 0.941876 0.077763 -0.281397 -0.187 0.196 -0.218 0.077
H 0.881503 -1.669509 -0.438387 -0.327 0.078 0.049 0.057
H 1.781346 -0.791178 -1.602009 -0.122 0.386 -0.139 0.074
As -2.249525 -2.895341 1.955718 -1.635 -0.389 3.060 0.708
F -1.745732 -4.366356 1.259751 0.335 0.007 -0.654 -0.224
F -3.886139 -3.147599 1.406619 0.325 -0.303 -1.142 -0.260
F -2.859328 -1.381005 2.468667 0.390 0.540 -0.205 -0.217
F -0.709050 -2.462152 2.530811 0.381 0.011 -0.635 -0.233
F -1.839560 -2.108431 0.334208 -0.230 0.598 -2.054 -0.370
F -2.623492 -3.673663 3.422423 -0.018 -0.116 0.223 -0.208
As -3.249399 2.333044 -0.250969 -1.276 1.558 1.225 0.730
F -2.678891 0.665248 -0.926807 -0.070 -1.468 -0.979 -0.400
F -3.322754 2.927781 -1.854378 0.410 -0.395 -0.357 -0.219
F -3.837604 3.785020 0.393770 0.225 0.311 0.038 -0.194
F -3.172908 1.581915 1.270719 0.108 -0.414 0.194 -0.202
F -1.587130 2.702575 -0.131410 0.200 0.033 -0.339 -0.215
F -4.849910 1.714069 -0.456933 0.137 -0.438 -0.268 -0.239
C 1.873636 3.183725 0.933684 -0.015 -0.465 -0.046 -1.046
Cl 2.733864 2.022359 1.978083 -0.002 0.042 -0.143 0.479
Cl 0.957872 4.340709 1.879818 0.015 0.200 -0.023 0.535
H 2.606580 3.671262 0.302754 0.010 0.179 0.135 0.014
H 1.178402 2.615923 0.325192 -0.052 0.021 0.029 -0.007
C 2.122934 1.958042 -3.598144 0.043 0.209 0.753 -1.028
Cl 3.513163 2.031497 -2.486053 0.042 -0.099 -0.034 0.497
Cl 2.615668 1.779970 -5.272403 -0.123 -0.033 -0.005 0.528
H 1.507070 1.129716 -3.265990 0.015 -0.142 -0.279 -0.002
H 1.591138 2.888303 -3.436681 -0.057 0.044 -0.362 0.027
C 3.251457 -3.122373 1.647655 -1.011 0.506 -0.255 -1.036
Cl 1.757666 -4.096117 1.641155 0.218 -0.039 -0.077 0.516
Cl 4.678118 -4.079948 1.329453 0.173 0.052 0.210 0.531
H 3.132030 -2.375541 0.869068 0.166 -0.157 -0.191 0.007
H 3.244150 -2.576733 2.584617 0.526 -0.383 0.243 0.034
```
Positions in Å, forces in eV/Å.

Computed properties:
Multiplicity: 1
Total energy, eV: -236812.744
HOMO, eV: -10.835
ΔE to the lowest compared entry with this formula, charge and spin, eV: 0.000

* * * * *

The following is a quantum chemistry calculation of a structure of composition C13H26MoO2S4SbSe6, from OMol25.

Energy relative to the best compared isomer or geometry (same formula, charge and spin) in kJ/mol: 121.2
Total charge: -1
Orbital gap (spin up / spin down) in eV: 6.0 / 5.3
Multiplicity: 3

Each line ends with the Mulliken spin population.
Positions of all 53 atoms, in Å:
Mo: 1.692 0.617 1.877  1.5331
S: -0.892 -1.080 -2.685  0.0004
C: 3.047 0.896 -1.395  0.0587
H: 4.803 2.037 -2.956  0.0001
C: -3.142 0.797 -0.511  0.0017
Se: 0.208 2.281 1.801  -0.2669
S: -2.221 -0.193 0.695  -0.0015
C: -2.444 2.101 -0.882  -0.0076
H: 3.181 3.062 0.281  0.0035
H: -3.018 -2.154 -2.490  0.0000
C: 4.078 2.452 0.367  0.0428
C: 4.305 1.614 -0.894  -0.0381
Se: 0.914 -1.627 2.626  0.1511
H: 3.300 0.332 -2.295  0.0077
H: -2.331 -4.375 -1.806  0.0002
O: 5.247 -0.648 -0.346  -0.0004